# Request
It remains to copy everything further below without additions.
# Given
____________
The following is a PBE+U calculation of a relaxed structure of Ba6Pr2Fe4O15, from the Materials Project.

For the total energy, the calculation gives -6.74 eV per atom. As for the space group: Cc.

a = 11.9729 Å, b = 11.9729 Å, c = 7.1755 Å
α = 89.82°, β = 89.82°, γ = 119.64°
Sites, in units of the cell vectors:
1 Ba 0.8233 0.1724 0.3346
2 Ba 0.8261 0.6513 0.3356
3 Ba 0.3475 0.1718 0.3362
4 Ba 0.1724 0.8233 0.8346
5 Ba 0.1718 0.3475 0.8362
6 Ba 0.6513 0.8261 0.8356
7 Ba 0.0010 0.0000 0.4970
8 Ba 0.0000 0.0010 0.9970
9 Ba 0.5215 0.0455 0.6707
10 Ba 0.0455 0.5215 0.1707
11 Ba 0.6681 0.3347 0.0215
12 Ba 0.3347 0.6681 0.5215
13 Pr 0.5206 0.4786 0.6635
14 Pr 0.9555 0.4778 0.6685
15 Pr 0.4786 0.5206 0.1635
16 Pr 0.4778 0.9555 0.1685
17 Fe 0.8186 0.1753 0.8339
18 Fe 0.8170 0.6445 0.8297
19 Fe 0.3582 0.1814 0.8426
20 Fe 0.1753 0.8186 0.3339
21 Fe 0.1814 0.3582 0.3426
22 Fe 0.6445 0.8170 0.3297
23 Fe 0.6629 0.3332 0.4745
24 Fe 0.3332 0.6629 0.9745
25 O 0.0901 0.8976 0.2276
26 O 0.0982 0.1956 0.2333
27 O 0.8095 0.8983 0.2296
28 O 0.8976 0.0901 0.7276
29 O 0.8983 0.8095 0.7296
30 O 0.1956 0.0982 0.7333
31 O 0.7587 0.2592 0.6589
32 O 0.7461 0.5033 0.6549
33 O 0.4968 0.2608 0.6602
34 O 0.2592 0.7587 0.1589
35 O 0.2608 0.4968 0.1602
36 O 0.5033 0.7461 0.1549
37 O 0.0648 0.6759 0.4903
38 O 0.3342 0.3969 0.4735
39 O 0.6058 0.9325 0.4509
40 O 0.0690 0.3911 0.4920
41 O 0.3265 0.9357 0.4557
42 O 0.6031 0.6645 0.4674
43 O 0.9357 0.3265 0.9557
44 O 0.6645 0.6031 0.9674
45 O 0.3911 0.0690 0.9920
46 O 0.9325 0.6058 0.9509
47 O 0.6759 0.0648 0.9903
48 O 0.3969 0.3342 0.9735
49 O 0.5815 0.4182 0.3306
50 O 0.5844 0.1740 0.3214
51 O 0.8250 0.4159 0.3405
52 O 0.4182 0.5815 0.8306
53 O 0.4159 0.8250 0.8405
54 O 0.1740 0.5844 0.8214



The following is a PBE+U calculation of a relaxed structure of BaPrFeSnO6, from the Materials Project.

For the total energy, the calculation gives -6.82 eV per atom. As for the space group: F-43m.

a = 5.7578 Å, b = 5.7578 Å, c = 5.7578 Å
α = 60.00°, β = 60.00°, γ = 60.00°
Sites, in units of the cell vectors:
1 Ba 0.2500 0.2500 0.2500
2 Pr 0.7500 0.7500 0.7500
3 Fe 0.0000 0.0000 0.0000
4 Sn 0.5000 0.5000 0.5000
5 O 0.7528 0.2472 0.2472
6 O 0.2472 0.7528 0.7528
7 O 0.7528 0.2472 0.7528
8 O 0.2472 0.7528 0.2472
9 O 0.7528 0.7528 0.2472
10 O 0.2472 0.2472 0.7528



The following is a PBE+U calculation of a relaxed structure of BaFe2S2O, from the Materials Project.

For the total energy, the calculation gives -5.76 eV per atom. Its energy above the most stable polymorph in this dataset is 41 meV per atom. As for the space group: P2_1.

a = 4.1183 Å, b = 6.6795 Å, c = 9.9701 Å
α = 89.85°, β = 90.00°, γ = 90.00°
Sites, in units of the cell vectors:
1 Ba 0.5047 0.0241 0.4988
2 Ba 0.0048 0.9759 0.0012
3 Fe 0.4917 0.3657 0.8279
4 Fe 0.4881 0.3701 0.1685
5 Fe 0.9879 0.6299 0.3315
6 Fe 0.9916 0.6343 0.6722
7 S 0.5041 0.7325 0.7950
8 S 0.4998 0.7333 0.2083
9 S 0.0000 0.2668 0.2917
10 S 0.0042 0.2675 0.7050
11 O 0.5117 0.2281 0.9994
12 O 0.0114 0.7719 0.5006



The following is a PBE+U calculation of a relaxed structure of BaFe2S2O, from the Materials Project.

For the total energy, the calculation gives -5.80 eV per atom. Its energy above the most stable polymorph in this dataset is 0 meV per atom. As for the space group: Pmmn.

a = 4.1125 Å, b = 6.6894 Å, c = 9.8441 Å
α = 90.00°, β = 90.00°, γ = 90.00°
Sites, in units of the cell vectors:
1 Ba 0.5000 0.0261 0.5000
2 Ba 0.0000 0.9739 0.0000
3 Fe 0.5000 0.3775 0.8345
4 Fe 0.9999 0.6225 0.3345
5 Fe 0.5000 0.3775 0.1656
6 Fe 0.0001 0.6225 0.6656
7 S 0.5000 0.7320 0.2107
8 S 0.5000 0.7320 0.7893
9 S 0.0000 0.2680 0.7107
10 S 0.0000 0.2680 0.2893
11 O 0.5000 0.2235 0.0000
12 O 0.0000 0.7765 0.5000


Entry 1:
# Ho2MgPd2

Crystalline Ho2MgPd2 at its relaxed geometry (GGA-PBE, Materials Project).
____________
# Response
The following is a PBE+U calculation of a relaxed structure of Ba6Pr2Fe4O15, from the Materials Project.

For the total energy, the calculation gives -6.74 eV per atom. As for the space group: Cc.

a = 11.9729 Å, b = 11.9729 Å, c = 7.1755 Å
α = 89.82°, β = 89.82°, γ = 119.64°
Sites, in units of the cell vectors:
1 Ba 0.8233 0.1724 0.3346
2 Ba 0.8261 0.6513 0.3356
3 Ba 0.3475 0.1718 0.3362
4 Ba 0.1724 0.8233 0.8346
5 Ba 0.1718 0.3475 0.8362
6 Ba 0.6513 0.8261 0.8356
7 Ba 0.0010 0.0000 0.4970
8 Ba 0.0000 0.0010 0.9970
9 Ba 0.5215 0.0455 0.6707
10 Ba 0.0455 0.5215 0.1707
11 Ba 0.6681 0.3347 0.0215
12 Ba 0.3347 0.6681 0.5215
13 Pr 0.5206 0.4786 0.6635
14 Pr 0.9555 0.4778 0.6685
15 Pr 0.4786 0.5206 0.1635
16 Pr 0.4778 0.9555 0.1685
17 Fe 0.8186 0.1753 0.8339
18 Fe 0.8170 0.6445 0.8297
19 Fe 0.3582 0.1814 0.8426
20 Fe 0.1753 0.8186 0.3339
21 Fe 0.1814 0.3582 0.3426
22 Fe 0.6445 0.8170 0.3297
23 Fe 0.6629 0.3332 0.4745
24 Fe 0.3332 0.6629 0.9745
25 O 0.0901 0.8976 0.2276
26 O 0.0982 0.1956 0.2333
27 O 0.8095 0.8983 0.2296
28 O 0.8976 0.0901 0.7276
29 O 0.8983 0.8095 0.7296
30 O 0.1956 0.0982 0.7333
31 O 0.7587 0.2592 0.6589
32 O 0.7461 0.5033 0.6549
33 O 0.4968 0.2608 0.6602
34 O 0.2592 0.7587 0.1589
35 O 0.2608 0.4968 0.1602
36 O 0.5033 0.7461 0.1549
37 O 0.0648 0.6759 0.4903
38 O 0.3342 0.3969 0.4735
39 O 0.6058 0.9325 0.4509
40 O 0.0690 0.3911 0.4920
41 O 0.3265 0.9357 0.4557
42 O 0.6031 0.6645 0.4674
43 O 0.9357 0.3265 0.9557
44 O 0.6645 0.6031 0.9674
45 O 0.3911 0.0690 0.9920
46 O 0.9325 0.6058 0.9509
47 O 0.6759 0.0648 0.9903
48 O 0.3969 0.3342 0.9735
49 O 0.5815 0.4182 0.3306
50 O 0.5844 0.1740 0.3214
51 O 0.8250 0.4159 0.3405
52 O 0.4182 0.5815 0.8306
53 O 0.4159 0.8250 0.8405
54 O 0.1740 0.5844 0.8214



The following is a PBE+U calculation of a relaxed structure of BaPrFeSnO6, from the Materials Project.

For the total energy, the calculation gives -6.82 eV per atom. As for the space group: F-43m.

a = 5.7578 Å, b = 5.7578 Å, c = 5.7578 Å
α = 60.00°, β = 60.00°, γ = 60.00°
Sites, in units of the cell vectors:
1 Ba 0.2500 0.2500 0.2500
2 Pr 0.7500 0.7500 0.7500
3 Fe 0.0000 0.0000 0.0000
4 Sn 0.5000 0.5000 0.5000
5 O 0.7528 0.2472 0.2472
6 O 0.2472 0.7528 0.7528
7 O 0.7528 0.2472 0.7528
8 O 0.2472 0.7528 0.2472
9 O 0.7528 0.7528 0.2472
10 O 0.2472 0.2472 0.7528



The following is a PBE+U calculation of a relaxed structure of BaFe2S2O, from the Materials Project.

For the total energy, the calculation gives -5.76 eV per atom. Its energy above the most stable polymorph in this dataset is 41 meV per atom. As for the space group: P2_1.

a = 4.1183 Å, b = 6.6795 Å, c = 9.9701 Å
α = 89.85°, β = 90.00°, γ = 90.00°
Sites, in units of the cell vectors:
1 Ba 0.5047 0.0241 0.4988
2 Ba 0.0048 0.9759 0.0012
3 Fe 0.4917 0.3657 0.8279
4 Fe 0.4881 0.3701 0.1685
5 Fe 0.9879 0.6299 0.3315
6 Fe 0.9916 0.6343 0.6722
7 S 0.5041 0.7325 0.7950
8 S 0.4998 0.7333 0.2083
9 S 0.0000 0.2668 0.2917
10 S 0.0042 0.2675 0.7050
11 O 0.5117 0.2281 0.9994
12 O 0.0114 0.7719 0.5006



The following is a PBE+U calculation of a relaxed structure of BaFe2S2O, from the Materials Project.

For the total energy, the calculation gives -5.80 eV per atom. Its energy above the most stable polymorph in this dataset is 0 meV per atom. As for the space group: Pmmn.

a = 4.1125 Å, b = 6.6894 Å, c = 9.8441 Å
α = 90.00°, β = 90.00°, γ = 90.00°
Sites, in units of the cell vectors:
1 Ba 0.5000 0.0261 0.5000
2 Ba 0.0000 0.9739 0.0000
3 Fe 0.5000 0.3775 0.8345
4 Fe 0.9999 0.6225 0.3345
5 Fe 0.5000 0.3775 0.1656
6 Fe 0.0001 0.6225 0.6656
7 S 0.5000 0.7320 0.2107
8 S 0.5000 0.7320 0.7893
9 S 0.0000 0.2680 0.7107
10 S 0.0000 0.2680 0.2893
11 O 0.5000 0.2235 0.0000
12 O 0.0000 0.7765 0.5000


Entry 1:
# Ho2MgPd2

Crystalline Ho2MgPd2 at its relaxed geometry (GGA-PBE, Materials Project).